What I learned on my first EuroTrip

## Records of crystals from another source follow
........
Entry 1:
Cr2TcMo: optimized geometry, GGA-PBE.

a b c (Å): 3.0290 4.2938 4.2189
angles (deg): 90.00 90.00 90.00
Each line ends with the local moment (μB).
Atoms (fractional coordinates):
Cr 0.0000 0.0000 0.0000  -0.91
Cr 0.5000 0.5000 0.0000  1.25
Mo 0.5000 0.0000 0.5000  0.24
Tc 0.0000 0.5000 0.5000  -0.16

Computed properties:
Formation enthalpy at 0 K in eV/atom: 0.09
VASP energy in eV per atom: -10.024
Symmetry: Pmmm (47)
Offset from the most stable computed form in meV per atom: 30


Entry 2:
Sr2CaIr: optimized geometry, GGA-PBE.

a b c (Å): 6.8991 7.9281 9.8965
angles (deg): 90.00 90.00 90.00
Atoms (fractional coordinates):
Sr 0.1705 0.6659 0.0683
Sr 0.3295 0.1659 0.4317
Sr 0.8295 0.3341 0.5683
Sr 0.6705 0.8341 0.9317
Sr 0.8295 0.3341 0.9317
Sr 0.6705 0.8341 0.5683
Sr 0.1705 0.6659 0.4317
Sr 0.3295 0.1659 0.0683
Ca 0.6613 0.5529 0.2500
Ca 0.8387 0.0529 0.2500
Ca 0.3387 0.4471 0.7500
Ca 0.1613 0.9471 0.7500
Ir 0.0231 0.3730 0.2500
Ir 0.4769 0.8730 0.2500
Ir 0.9769 0.6270 0.7500
Ir 0.5231 0.1270 0.7500

Computed properties:
Formation enthalpy at 0 K in eV/atom: -0.23
VASP energy in eV per atom: -3.782
Symmetry: Pnma (62)
Offset from the most stable computed form in meV per atom: 0


Entry 3:
MnTcRu2: optimized geometry, GGA-PBE.

a b c (Å): 4.3144 4.3144 4.3144
angles (deg): 60.00 60.00 60.00
Each line ends with the local moment (μB).
Atoms (fractional coordinates):
Ru 0.2500 0.2500 0.2500  0.26
Ru 0.7500 0.7500 0.7500  0.26
Mn 0.0000 0.0000 0.0000  3.42
Tc 0.5000 0.5000 0.5000  -0.35

Computed properties:
Formation enthalpy at 0 K in eV/atom: 0.25
VASP energy in eV per atom: -9.277
Symmetry: Fm-3m (225)
Offset from the most stable computed form in meV per atom: 181


Look up the VASP energy of the second one. -3.782 eV per atom
........

Corey Hobbs
The Other Narrative
3 min readNov 18, 2016

The rest of of the world wants America to win and do good for the world.

I travelled to Europe recently and while I was sitting in an American expat bar in Lisbon I watched the future of the world change forever. Standing shoulder to shoulder with hundreds of other Americans, we saw our home country and fellow compatriots vote Donald Trump into office as the 45th President of the United States. With the inauguration ceremony still to come, America has already reshaped what the rest of the world thinks about the possibility of a global economy, global citizenship, and an open society that accepts everyone.

+++
The following is a PBEsol calculation of Rb3SiB after structural relaxation, from the Alexandria database.

Symmetry = Pm-3m, No. 221
E_tot = -9.5 eV/cell
E_form (uncorrected) = 1.26 eV per atom

```
Rb3SiB
1.0
6.131 0.000 0.000
0.000 6.131 0.000
0.000 0.000 6.131
Rb Si B
3 1 1
Direct
0.000 0.000 0.500
0.000 0.500 0.000
0.500 0.000 0.000
0.500 0.500 0.500
0.000 0.000 0.000
```

=====

The following is a PBEsol calculation of LiCd2Pb after structural relaxation, from the Alexandria database.

Symmetry = R3m, No. 160
ΔH_f (0 K) = -0.05 eV per atom
E_tot = -8.6 eV/cell

```
LiCd2Pb
1.0
1.659 0.958 9.445
-1.659 0.958 9.445
0.000 -1.916 9.445
Li Cd Pb
1 2 1
Direct
0.000 0.000 0.000
0.257 0.257 0.257
0.507 0.507 0.507
0.750 0.750 0.750
```

=====

The following is a PBEsol calculation of BaInRh2 after structural relaxation, from the Alexandria database.

Symmetry = Imm2, No. 44
ΔH_f (0 K) = 0.09 eV per atom
E_tot = -21.1 eV/cell

```
BaInRh2
1.0
-1.556 2.467 5.362
1.556 -2.467 5.362
1.556 2.467 -5.362
Ba In Rh
1 1 2
Direct
0.000 0.000 0.000
0.290 0.790 0.500
0.517 0.517 0.000
0.723 0.223 0.500
```


[1]
MnIr2Au: relaxed, GGA-PBE.

Energy relative to the elements = 14 kJ/mol of atoms
VASP energy = -7.40 eV per atom
Crystal system = tetragonal
Theoretical density = 17.68 g cm⁻³
Total magnetic moment = 4.76 Bohr magnetons per cell

abc: 3.931 3.931 7.737
angles: 90.00 90.00 90.00
Space group I4/mmm (No. 139)
Unique sites:
1 Mn 0.000 0.000 0.000 x2
2 Ir 0.000 0.500 0.250 x4
3 Au 0.000 0.000 0.500 x2

[2]
Mn4IrAu: relaxed, GGA-PBE.

Energy relative to the elements = 19 kJ/mol of atoms
VASP energy = -7.94 eV per atom
Crystal system = cubic
Theoretical density = 13.12 g cm⁻³
Total magnetic moment = 24.39 Bohr magnetons per cell

abc: 6.756 6.756 6.756
angles: 90.00 90.00 90.00
Space group F-43m (No. 216)
Unique sites:
1 Mn 0.125 0.125 0.125 x16
2 Ir 0.250 0.250 0.750 x4
3 Au 0.000 0.000 0.500 x4

[3]
MnIrAu2: relaxed, GGA-PBE.

Energy relative to the elements = 12 kJ/mol of atoms
VASP energy = -6.02 eV per atom
Crystal system = monoclinic
Theoretical density = 16.39 g cm⁻³
Total magnetic moment = 8.12 Bohr magnetons per cell

abc: 9.382 2.953 4.835
angles: 90.00 104.06 90.00
Space group Cm (No. 8)
Unique sites:
1 Mn 0.000 0.000 0.000 x2
2 Ir 0.229 0.500 0.226 x2
3 Au 0.249 0.000 0.744 x2
4 Au 0.486 0.000 0.483 x2

[4]
MnIr2Au: relaxed, GGA-PBE.

Energy relative to the elements = 49 kJ/mol of atoms
VASP energy = -7.03 eV per atom
Crystal system = tetragonal
Theoretical density = 16.32 g cm⁻³
Total magnetic moment = 8.03 Bohr magnetons per cell

abc: 7.058 7.058 5.198
angles: 90.00 90.00 90.00
Space group I-42d (No. 122)
Unique sites:
1 Mn 0.000 0.000 0.000 x4
2 Ir 0.204 0.250 0.125 x8
3 Au 0.000 0.000 0.500 x4


# MgSi3H

A relaxed structure of MgSi3H (PBE, Alexandria).

abc: 4.9487 4.9487 4.9487
angles: 90.00 90.00 90.00
+++

I immediately became a walking target as I travelled throughout Lisbon, Madrid, and Paris. People could smell the stench of the new United States on me — as well as seeing my A’s baseball cap.

The airport attendants told me “goodluck in America!” while boarding my flight. My taxi driver asked me “what will this new America be like and do you feel safe going back home?” There was a moment the world started spinning a little bit differently for me. I had met a lady and her daughter at a thai restaurant in Paris. They were speaking French and English together, so I introduced myself. The daughter was applying for an internship with the American Civil Liberties Union, usually known as ACLU. Mind you, she was a French citizen and a Paris native. I had asked why she wanted to come to America, as an outsider, to work for the American Civil Liberties Union? In a country that she’s never visited, never seen, and only has relatives that sometimes tells her what it is like to live in middle America. Her response:

How can I watch what’s happening in America, a country that molds and shapes what happens in the rest of the world, and not want to help them do better? How can I goto sleep at night at not be concerned about my relatives, who are French nationals, and their safety while they live in America? How can I watch this so-called great nation vote into office one of the most controversial figures in modern-day American history and not be compelled to fight against a system that’s crumbling right before my eyes?

As her and her mother were leaving the restaurant, the mother said something that I’ll never forget:

I hope that you have a safe flight back home and that you can goto sleep at night with peace on your heart. I can only pray that you, as well as the rest of America, choose to do more good for the world. We are all counting on you. Au Revoir!

There’s something eerily inspiring about a complete stranger telling you that they’re counting on you to do better. Counting on you, as well as the rest of your country, to fight for the rest of the world and do more good for us all. It was a reminder of the privilege that I have to live in America. The decisions we make in America, from the polls to the protests, affect the rest of the world in ways we can’t even imagine.

No matter how you voted in the general election — you’ll will be apart of the fight to keep America, America. What that actually means will be completely up to you and the actions you take to make change.

Other things that I learned in Europe were:
- Walk slower and take in the history.
- Carry cash and coins (euro)
- Only wear comfortable shoes — there is literally cobblestone everywhere.
- Learn the local language — it will take you further and give you the ability to bargain.
- Realize that you are not in your home country. Yes, you are an outsider.
- Never open your wallet in public.
- Pickpocketers are literally everywhere — everywhere.

